[Request]
Next, count the lines further down that contain the word "The" and give the number alone.
[Material]
/*
Run i
The following is a quantum chemistry calculation of a cluster of 2 separate species, Cl2HNS in total, from the Open Molecules 2025 dataset.

HOMO-LUMO gap (spin up / spin down) = 0.2918 / 0.2808 Eh
M = 118.0 g/mol
LUMO level (spin up / spin down) = -0.076 / -0.068 Ha
HOMO energy (spin up / spin down) = -0.368 / -0.349 Eh

Element x y z (Å)
N: 0.182 0.006 0.730
S: 1.252 0.351 -0.379
Cl: -1.179 1.257 1.256
Cl: -0.499 -1.664 0.791
H: 0.243 0.050 -2.398

Partial charges, Löwdin, in e:
1. N -1.3772
2. S 0.5098
3. Cl 0.3597
4. Cl 0.4433
5. H 0.0645

Run ii
The following is a quantum chemistry calculation of an isolated molecule of Cl2HNS, from the Open Molecules 2025 dataset.

HOMO-LUMO gap (spin up / spin down) = 0.3183 / 0.3183 Eh
M = 118.0 g/mol
LUMO level (spin up / spin down) = -0.041 / -0.041 Ha
HOMO energy (spin up / spin down) = -0.359 / -0.359 Eh

Element x y z (Å)
N: 1.223 -0.116 -0.540
S: -0.449 -0.010 -0.784
Cl: -1.001 1.494 0.431
Cl: -1.050 -1.622 0.519
H: 1.277 0.254 0.375

Partial charges, Löwdin, in e:
1. N -0.3936
2. S 0.2353
3. Cl 0.1928
4. Cl 0.0615
5. H -0.0960

Of them, the most stable is run ii and the least stable is run i.

Run i
The following is a quantum chemistry calculation of a structure of composition Cl2HNS, from the Open Molecules 2025 dataset.

HOMO-LUMO gap (spin up / spin down) = 0.3077 / 0.2965 Eh
M = 118.0 g/mol
LUMO level (spin up / spin down) = -0.050 / -0.033 Ha
HOMO energy (spin up / spin down) = -0.358 / -0.329 Eh

Element x y z (Å)
N: -2.987 0.008 0.445
S: -1.789 0.148 1.442
Cl: -3.766 1.227 -0.551
Cl: -3.633 -1.449 -0.250
H: 0.131 -0.908 0.308

Partial charges, Löwdin, in e:
1. N -1.5467
2. S 0.5292
3. Cl 0.4838
4. Cl 0.4909
5. H 0.0428

Run ii
The following is a quantum chemistry calculation of a cluster of 2 separate species, Cl2HNS in total, from the Open Molecules 2025 dataset.

HOMO-LUMO gap = 0.3288 Eh
M = 118.0 g/mol
LUMO level = -0.072 Ha
HOMO energy = -0.401 Eh

Element x y z (Å)
N: -1.478 0.030 2.416
S: -2.421 -0.976 1.928
Cl: 0.036 -0.557 -1.102
Cl: -1.296 -2.801 1.556
H: -0.462 -1.493 -0.307

Partial charges, Löwdin, in e:
1. N -0.4300
2. S 0.5264
3. Cl 0.2283
4. Cl 0.0067
5. H -0.3313

Of them, the most stable is run ii and the least stable is run i.

Run i
The following is a quantum chemistry calculation of a cluster of 2 separate species, C3H8NS2 in total, from the Open Molecules 2025 dataset.

net charge = +1
HOMO-LUMO gap = 0.2975 Eh
M = 122.2 g/mol
LUMO level = -0.199 Ha
HOMO energy = -0.497 Eh

Element x y z (Å)
C: 1.105 1.525 -0.491
C: 1.067 0.364 -1.424
C: 1.050 0.245 0.095
N: -1.703 -0.871 1.467
S: -0.522 0.098 -2.115
S: 0.741 -0.425 1.556
H: 1.994 2.100 -0.503
H: 0.197 2.290 -0.406
H: 1.909 0.140 -2.005
H: -2.126 -1.766 1.645
H: -2.237 -0.415 0.740
H: -1.865 -0.365 2.359
H: -0.363 -1.222 -2.179
H: 0.753 -1.697 1.261

Atomic partial charges in e from the Löwdin method, atoms 1 to 8:
1. C -0.1853
2. C -0.5873
3. C -0.5614
4. N -0.0523
5. S 0.8570
6. S 1.1313
7. H 0.1213
8. H 0.1843

Run ii
The following is a quantum chemistry calculation of a cluster of 3 separate species, C3H8NS2 in total, from the Open Molecules 2025 dataset.

net charge = +1
HOMO-LUMO gap (spin up / spin down) = 0.2213 / 0.2213 Eh
M = 122.2 g/mol
LUMO level (spin up / spin down) = -0.251 / -0.251 Ha
HOMO energy (spin up / spin down) = -0.472 / -0.472 Eh

Element x y z (Å)
C: 1.749 -1.466 -1.018
C: 1.420 -0.247 -1.205
C: 0.113 1.652 0.526
N: -0.436 2.686 0.037
S: -1.662 -1.115 0.977
S: 0.348 1.859 2.238
H: 2.785 -1.635 -1.279
H: 1.120 -2.068 -0.267
H: 1.397 0.817 -1.416
H: -0.775 2.586 -0.938
H: -0.450 3.676 0.415
H: -0.688 -0.353 0.373
H: -2.455 -0.029 1.158
H: 0.707 0.589 2.396

Atomic partial charges in e from the Löwdin method, atoms 1 to 8:
1. C 0.0644
2. C 0.2613
3. C -0.6217
4. N -0.0184
5. S 0.4790
6. S 0.8171
7. H 0.1236
8. H 0.1458

Of them, the most stable is run i and the least stable is run ii.

Run i
*/
[Solution]
6